Investing in America’s Urban Forests

Last updated on February 14th, 2024

People wait to cross a tree-lined street in Park Slope (Brooklyn), New York. Photo Credit: Diane Cook and Len Jenshel/The Nature Conservancy.

Trees provide numerous benefits in cities, storing carbon, reducing temperatures, improving air and water quality, mitigating stormwater runoff, encouraging outdoor recreation, and improving human health and well-being. In the United States, urban forests provide estimated annual benefits of about $18.3 billion in air pollution reduction, carbon sequestration, and lowered building energy use and power plant emissions.

Urban trees are responsible for nearly one-fifth of America’s captured and stored carbon emissions. In addition to providing critical ecosystem services and climate mitigation benefits, urban forestry programs create thousands of good-paying jobs and new opportunities for young people. Career opportunities include urban foresters, arborists, tree trimmers, pruners, pesticide applicators and more.

Despite the many benefits that trees provide, research suggests that tree canopy is unequally distributed in U.S. cities with low-income neighborhoods and communities of color often having less tree cover. The inequitable distribution of urban trees furthers social inequities and has serious implications for the health, wealth and resiliency of people living in cities. Two of U.S. Nature4Climate’s coalition members are tackling the issue of urban tree cover head on, taking slightly different approaches to this work. Taken together, these two studies highlight the important role urban forestry programs can play in slowing climate change, reducing social injustices, creating economic opportunities, and making communities more livable.

The Nature Conservancy – The Urban Tree Cover Disparity in US Urbanized Areas
Tree planting at Garden Place Academy in Denver’s Globeville neighborhood.

The Nature Conservancy conducted the first national survey of tree inequality, mapping urban tree canopy and temperature across 5,723 cities and towns in the U.S. The main goal for this study was to analyze tree cover and temperature inequality for the 100 largest urbanized areas in the country, housing 167 million people (nearly 55% of the total US population). The data was developed from high-resolution aerial imagery, summer temperatures, and census demographics. The study focused on tree cover inequality relative to income and race.

The research shows that inequality in tree cover between low- and high-income neighborhoods is widespread in the United States, occurring in 92% of the urban areas studied. On average, there was 15.2% more tree cover in high-income areas than in low-income areas. The average surface temperature differential was roughly 3⁰F, but in more than a dozen cities the differential exceeded 5⁰F.  Patterns regarding race were similar, with neighborhoods of predominately people of color having lower tree cover and higher surface temperature in most U.S. cities.

The greatest tree inequality was found in the Northeast of the United States, where low-income neighborhoods in some urbanized areas have 30% less tree cover and are7⁰F hotter compared to high-income neighborhoods. Even after controlling for population density and built-up intensity, the link between income, race, and tree cover was significant. Cities with greater income inequality had greater differences in tree cover between high- and low-income blocks. Another important variable in explaining variation in tree cover was population density, with urban areas with higher median population density, such as New York City and Philadelphia having lower tree cover, presumably because there is simply less area to fit trees into more densely developed areas.

Data records, kept here for reference:
____________
Density functional theory data (GGA+U) for a geometry-optimized MoP2O8 structure.

a = 4.9815 Å, b = 12.9499 Å, c = 11.5758 Å
α = 90.00°, β = 110.34°, γ = 90.00°
Space group P2_1/c (No. 14)
One atom of each set of equivalent atoms:
1 Mo 0.0924 0.0709 0.2888
2 P 0.3123 0.0889 0.6152
3 P 0.4044 0.7482 0.2055
4 O 0.0805 0.0523 0.1432
5 O 0.1221 0.0969 0.4829
6 O 0.1608 0.0447 0.7017
7 O 0.2246 0.6656 0.2481
8 O 0.2400 0.6750 0.6157
9 O 0.3690 0.1842 0.3300
10 O 0.4055 0.2037 0.6610
11 O 0.4139 0.5256 0.8659

Properties
- DFT formation energy (eV/atom) = -2.329
- ΔE to the lowest computed polymorph (meV per atom) = 0.0

Density functional theory data (GGA+U) for a geometry-optimized Li9Mn2Co5O16 structure.

a = 2.9434 Å, b = 9.8656 Å, c = 10.5134 Å
α = 72.78°, β = 83.19°, γ = 87.25°
Space group P1 (No. 1)
One atom of each set of equivalent atoms:
1 Li 0.0000 0.0000 0.0000
2 Li 0.0333 0.2946 0.8816
3 Li 0.1802 0.9312 0.6244
4 Li 0.3019 0.5517 0.3742
5 Li 0.4276 0.1718 0.1173
6 Li 0.5375 0.8029 0.8811
7 Li 0.6818 0.4333 0.6218
8 Li 0.8031 0.0531 0.3727
9 Li 0.9291 0.6793 0.1296
10 Mn 0.6032 0.1130 0.7570
11 Mn 0.7375 0.7399 0.4962
12 Co 0.1105 0.6145 0.7501
13 Co 0.2301 0.2385 0.5016
14 Co 0.3784 0.8706 0.2382
15 Co 0.4844 0.4911 0.0017
16 Co 0.8613 0.3656 0.2529
17 O 0.0280 0.6398 0.9399
18 O 0.1019 0.9776 0.8054
19 O 0.1164 0.2516 0.6864
20 O 0.1740 0.5890 0.5621
21 O 0.3035 0.8896 0.4249
22 O 0.3285 0.2207 0.3193
23 O 0.3977 0.5101 0.1913
24 O 0.4433 0.8342 0.0846
25 O 0.5312 0.1485 0.9204
26 O 0.5709 0.4730 0.8098
27 O 0.6625 0.7641 0.6826
28 O 0.6653 0.0934 0.5682
29 O 0.7982 0.3839 0.4408
30 O 0.8076 0.7185 0.3154
31 O 0.9242 0.0105 0.1933
32 O 0.9438 0.3455 0.0620

Properties
- DFT formation energy (eV/atom) = -1.805
- ΔE to the lowest computed polymorph (meV per atom) = 58.9

Density functional theory data (GGA+U) for a geometry-optimized K9Ni2O7 structure.

a = 11.0215 Å, b = 11.0215 Å, c = 11.0215 Å
α = 90.00°, β = 90.00°, γ = 90.00°
Space group P2_13 (No. 198)
One atom of each set of equivalent atoms:
1 K 0.0036 0.2897 0.8379
2 K 0.0389 0.7825 0.1660
3 K 0.0661 0.0661 0.0661
4 K 0.0977 0.5977 0.9023
5 K 0.2286 0.2286 0.2286
6 Ni 0.0751 0.9249 0.4249
7 Ni 0.0970 0.4030 0.5970
8 O 0.0572 0.3174 0.0802
9 O 0.0649 0.8418 0.9084
10 O 0.1982 0.3018 0.6982

Properties
- DFT formation energy (eV/atom) = -1.303

Density functional theory data (GGA+U) for a geometry-optimized CrSiH12O6F6 structure.

a = 9.6081 Å, b = 9.6081 Å, c = 9.6866 Å
α = 90.00°, β = 90.00°, γ = 120.00°
Space group R-3 (No. 148, hexagonal axes)
One atom of each set of equivalent atoms:
1 Cr 0.0000 0.0000 0.0000
2 Si 0.0000 0.0000 0.5000
3 H 0.0179 0.1835 0.7718
4 H 0.0334 0.5582 0.7927
5 O 0.0145 0.8234 0.1312
6 F 0.0745 0.9056 0.6022

Properties
- DFT formation energy (eV/atom) = -1.857
- ΔE to the lowest computed polymorph (meV per atom) = 30.7

Density functional theory data (GGA+U) for a geometry-optimized FeSO10 structure.

a = 23.0371 Å, b = 23.0371 Å, c = 8.0593 Å
____________

The Nature Conservancy found greater disparity in tree cover in the suburbs in low density areas compared to the urban core. Greater inequality in tree cover in suburban areas could be due to the relatively greater importance of actions on private land. It may be that low-income households are less able to afford the cost of planting and maintaining trees. Additionally, low-income households are more likely to be in rental units and are thus less involved in making decisions about land management, while owners are primarily interested in reducing maintenance costs and thus may have less of an incentive to plant and maintain trees. This finding has important policy implications since currently most of the funding and resources for urban forestry programs are directed to major metropolitan areas. Increasing tree planting and maintenance in suburbs could more effectively address tree cover disparities since there is less pavement and density allowing for more room to plant trees.

Overall, The Nature Conservancy’s findings illustrate that inequality in tree cover is widespread and pervasive in American cities and deserves policy attention. Tree planting will need to occur through public sector investment and maintenance on publicly owned land. Increased investment could be more strategically applied if government agencies responsible for urban forestry actively partnered with public health agencies to maximize benefits for both people and nature.

Additionally, tree planting needs to occur on private land and incentives and regulations must be enacted to motivate the private sector to engage in tree planting. The good news is that several programs like this already exist, such as tree protection ordinances, green area ratios in planning codes, and incentives for tree planting from electric utilities. In addition to establishing new trees, it will be critically important to maintain and care for existing trees, particularly mature trees that provide ecosystem services and benefits to communities.

American Forests – Urban Trees Help Slow Climate Change and Advance Tree Equity

When thinking about how to advance Tree Equity and mitigate climate change, it is important to consider projected changes to urban tree cover. The fact is, we are losing tree canopy in cities. And it’s not a problem that is going away. American Forests’ new report on Climate Change and Urban Forests found that in U.S. urban areas, we are losing one tree for every two trees planted or naturally regenerated. There are several factors that contribute to tree loss including, natural disasters (e.g., hurricanes, tornadoes, fires, insects, and diseases), urban expansion and development, improper planting practices and attrition. American Forests projects that 8.3% of existing tree canopy will be lost by 2060.

American Forests looked at county-level data nationwide across different scenarios for both existing urbanized areas and the projected expansion of these areas by 2060 to determine what it would take to achieve to increase tree canopy by 10 percent. To sustain urban tree cover through 2060, they found that about 25 million trees would need to be planted annually. On average, this planting equates to a national rate of one new tree annually for every 3 acres of urban land. However, maintaining existing tree canopy will not be enough.

A 10 percent increase in tree cover is needed nationwide to meaningfully advance Tree Equity and address climate change. This will require planting 31.4 million trees every year and an investment of at least $8.9 billion in urban forestry in the U.S. every year. If we are successful, trees would cover 43.3 percent of U.S. urban areas on average. In addition to planting more trees, it is necessary to increase investment in efforts to monitor and take care of existing trees, which are often larger and more established than planted trees. Scaling up urban forestry efforts would also support more than 228,000 jobs and store almost a billion metric tons of carbon – the same impact as removing nearly 200,000 cars from the road each year. And there would be a savings of nearly $1.6 billion a year from things like avoided asthma-related emergency room visits.

American Forest’ research can help guide decisions about how many trees we need to plant in the United States and the required investment to successfully manage our urban forests.

Key Takeaways

We need a multiplicity of voices advocating for urban trees and working to advance science, policy, funding, and collaboration around urban forestry. Studies like those conducted by The Nature Conservancy and American Forests should inspire conversation among environmental organizations, local government and municipalities, policymakers, health advocates and local communities to determine how to best address equity needs in cities and avoid devastating tree loss.

Caity Varian is the Digital Communications Manager for U.S. Nature4Climate.